# Input
# 1
This entry pairs a crystal structure of La2Co3 with its calculated powder XRD pattern. Radiation: λ = 1.5418 Å (Cu Kα). Structure: a cell relaxed with PBE.
Lines closer than 0.1° are merged.

The 6 most intense peaks (2θ = 10–90°), by angle:
30.38 deg, intensity 28; 32.61 deg, intensity 100; 37.98 deg, intensity 33; 45.88 deg, intensity 52; 57.42 deg, intensity 19; 68.19 deg, intensity 21

Structure:
Cell: 3.9559 3.9559 22.9602 Å, 90.00 90.00 120.00°
Positions (direct):
La1 0.0000 0.0000 0.0932
La2 0.0000 0.0000 0.9068
La3 0.3333 0.6667 0.5735
La4 0.3333 0.6667 0.7599
La5 0.6667 0.3333 0.2401
La6 0.6667 0.3333 0.4265
Co1 0.0000 0.0000 0.3327
Co2 0.0000 0.0000 0.5000
Co3 0.0000 0.0000 0.6673
Co4 0.3333 0.6667 0.1667
Co5 0.3333 0.6667 0.3340
Co6 0.3333 0.6667 0.9994
Co7 0.6667 0.3333 0.0006
Co8 0.6667 0.3333 0.6660
Co9 0.6667 0.3333 0.8333

=====

# 2
This entry pairs a crystal structure of LiLa3Co with its calculated powder XRD pattern. Radiation: λ = 1.5418 Å (Cu Kα). Structure: a cell relaxed with PBE.
Lines closer than 0.1° are merged.

The 6 most intense peaks (2θ = 10–90°), by angle:
10.29 deg, intensity 45; 27.02 deg, intensity 40; 29.07 deg, intensity 46; 29.51 deg, intensity 100; 31.61 deg, intensity 44; 31.82 deg, intensity 55

Structure:
Cell: 6.7402 6.7402 9.2981 Å, 110.30 110.30 49.32°
Positions (direct):
Li1 0.0905 0.0905 0.4473
Li2 0.9095 0.9095 0.5527
La1 0.1284 0.1284 0.9275
La2 0.3462 0.3462 0.3389
La3 0.3939 0.3939 0.7659
La4 0.6061 0.6061 0.2341
La5 0.6538 0.6538 0.6611
La6 0.8716 0.8716 0.0725
Co1 0.3773 0.3773 0.0645
Co2 0.6227 0.6227 0.9355

~~~~~

For SmAl2WO8, a structure optimized by DFT (PBE+U) gives the simulated powder diffractogram in this record (Cu Kα, 1.54184 Å).

Largest 10 diffraction maxima, low angle first, 15 to 90 degrees two-theta:
d_spacing	I/Imax
4.602	100
3.283	56
3.239	25
3.225	48
2.649	84
2.302	29
2.286	38
1.876	23
1.746	38
1.728	32

Crystal structure
```
data_SmAl2WO8
_chemical_formula_sum 'Sm1 Al2 W1 O8'
_space_group_name_H-M_alt 'P 1'
_space_group_IT_number 1
_cell_length_a 4.602
_cell_length_b 4.602
_cell_length_c 6.479
_cell_angle_alpha 90.00
_cell_angle_beta 90.00
_cell_angle_gamma 91.01
loop_
_space_group_symop_operation_xyz
'x,y,z'
loop_
_atom_site_label
_atom_site_type_symbol
_atom_site_fract_x
_atom_site_fract_y
_atom_site_fract_z
Sm1 Sm 0.000 0.000 0.000
Al1 Al 0.500 0.500 0.269
Al2 Al 0.500 0.500 0.731
W1 W 0.000 0.000 0.500
O1 O 0.209 0.209 0.287
O2 O 0.209 0.209 0.713
O3 O 0.302 0.698 0.500
O4 O 0.342 0.658 0.000
O5 O 0.658 0.342 0.000
O6 O 0.698 0.302 0.500
O7 O 0.791 0.791 0.287
O8 O 0.791 0.791 0.713
```

~~~~~

The following is a simulated powder diffraction line list of SiI2. It was derived from a structure optimized by DFT (PBE), using copper Kα.
Intensities are scaled so that the largest is 100.

```
SiI2
1.0
11.592 0.000 0.000
0.000 17.017 0.000
-8.598 0.000 14.996
Si I
20 40
direct
0.061 0.185 0.465 Si
0.061 0.315 0.965 Si
0.062 0.174 0.961 Si
0.062 0.326 0.461 Si
0.269 0.146 0.481 Si
0.269 0.354 0.981 Si
0.292 0.135 0.021 Si
0.292 0.365 0.521 Si
0.420 0.246 0.569 Si
0.420 0.254 0.069 Si
0.580 0.746 0.931 Si
0.580 0.754 0.431 Si
0.708 0.635 0.479 Si
0.708 0.865 0.979 Si
0.731 0.646 0.019 Si
0.731 0.854 0.519 Si
0.938 0.674 0.539 Si
0.938 0.826 0.039 Si
0.939 0.685 0.035 Si
0.939 0.815 0.535 Si
0.029 0.620 0.448 I
0.029 0.880 0.948 I
0.056 0.141 0.599 I
0.056 0.359 0.099 I
0.074 0.629 0.694 I
0.074 0.871 0.194 I
0.126 0.628 0.169 I
0.126 0.872 0.669 I
0.245 0.155 0.331 I
0.245 0.345 0.831 I
0.324 0.075 0.903 I
0.324 0.425 0.403 I
0.339 0.013 0.544 I
0.339 0.487 0.044 I
0.367 0.043 0.147 I
0.367 0.457 0.647 I
0.381 0.749 0.448 I
0.381 0.751 0.948 I
0.482 0.220 0.725 I
0.482 0.280 0.225 I
0.518 0.720 0.775 I
0.518 0.780 0.275 I
0.619 0.249 0.052 I
0.619 0.251 0.552 I
0.633 0.543 0.353 I
0.633 0.957 0.853 I
0.661 0.513 0.956 I
0.661 0.987 0.456 I
0.676 0.575 0.597 I
0.676 0.925 0.097 I
0.755 0.655 0.169 I
0.755 0.845 0.669 I
0.874 0.128 0.331 I

# Brief
Next, reproduce the notes further up from the first line to the one with "_atom_site_fract_x" without additions.

# Result
# 1
This entry pairs a crystal structure of La2Co3 with its calculated powder XRD pattern. Radiation: λ = 1.5418 Å (Cu Kα). Structure: a cell relaxed with PBE.
Lines closer than 0.1° are merged.

The 6 most intense peaks (2θ = 10–90°), by angle:
30.38 deg, intensity 28; 32.61 deg, intensity 100; 37.98 deg, intensity 33; 45.88 deg, intensity 52; 57.42 deg, intensity 19; 68.19 deg, intensity 21

Structure:
Cell: 3.9559 3.9559 22.9602 Å, 90.00 90.00 120.00°
Positions (direct):
La1 0.0000 0.0000 0.0932
La2 0.0000 0.0000 0.9068
La3 0.3333 0.6667 0.5735
La4 0.3333 0.6667 0.7599
La5 0.6667 0.3333 0.2401
La6 0.6667 0.3333 0.4265
Co1 0.0000 0.0000 0.3327
Co2 0.0000 0.0000 0.5000
Co3 0.0000 0.0000 0.6673
Co4 0.3333 0.6667 0.1667
Co5 0.3333 0.6667 0.3340
Co6 0.3333 0.6667 0.9994
Co7 0.6667 0.3333 0.0006
Co8 0.6667 0.3333 0.6660
Co9 0.6667 0.3333 0.8333

=====

# 2
This entry pairs a crystal structure of LiLa3Co with its calculated powder XRD pattern. Radiation: λ = 1.5418 Å (Cu Kα). Structure: a cell relaxed with PBE.
Lines closer than 0.1° are merged.

The 6 most intense peaks (2θ = 10–90°), by angle:
10.29 deg, intensity 45; 27.02 deg, intensity 40; 29.07 deg, intensity 46; 29.51 deg, intensity 100; 31.61 deg, intensity 44; 31.82 deg, intensity 55

Structure:
Cell: 6.7402 6.7402 9.2981 Å, 110.30 110.30 49.32°
Positions (direct):
Li1 0.0905 0.0905 0.4473
Li2 0.9095 0.9095 0.5527
La1 0.1284 0.1284 0.9275
La2 0.3462 0.3462 0.3389
La3 0.3939 0.3939 0.7659
La4 0.6061 0.6061 0.2341
La5 0.6538 0.6538 0.6611
La6 0.8716 0.8716 0.0725
Co1 0.3773 0.3773 0.0645
Co2 0.6227 0.6227 0.9355

~~~~~

For SmAl2WO8, a structure optimized by DFT (PBE+U) gives the simulated powder diffractogram in this record (Cu Kα, 1.54184 Å).

Largest 10 diffraction maxima, low angle first, 15 to 90 degrees two-theta:
d_spacing	I/Imax
4.602	100
3.283	56
3.239	25
3.225	48
2.649	84
2.302	29
2.286	38
1.876	23
1.746	38
1.728	32

Crystal structure
```
data_SmAl2WO8
_chemical_formula_sum 'Sm1 Al2 W1 O8'
_space_group_name_H-M_alt 'P 1'
_space_group_IT_number 1
_cell_length_a 4.602
_cell_length_b 4.602
_cell_length_c 6.479
_cell_angle_alpha 90.00
_cell_angle_beta 90.00
_cell_angle_gamma 91.01
loop_
_space_group_symop_operation_xyz
'x,y,z'
loop_
_atom_site_label
_atom_site_type_symbol
_atom_site_fract_x